## Activity
Please print every line below that contains the word "Pb".
## Data
┌──
This record from the Alexandria database describes a geometry-optimized BaGe3Cl structure. The functional is GGA-PBE.

The excess energy over the best structure of this formula in the dataset is 1012.3 meV/atom.

Lattice parameters (Å, degrees): 6.0254 6.0254 6.0254 90.00 90.00 90.00
Fractional positions:
1 Ba 0.0000 0.0000 0.0000
2 Ge 0.0000 0.0000 0.5000
3 Ge 0.0000 0.5000 0.0000
4 Ge 0.5000 0.0000 0.0000
5 Cl 0.5000 0.5000 0.5000

=====

This record from the Alexandria database describes a geometry-optimized Ho3NpO8 structure. The functional is GGA-PBE.

As for the uncorrected energy: -8.75 eV/atom.

Lattice parameters (Å, degrees): 5.3014 5.3014 5.3014 90.00 90.00 90.00
Fractional positions:
1 Ho 0.0000 0.0000 0.5000
2 Ho 0.0000 0.5000 0.0000
3 Ho 0.5000 0.0000 0.0000
4 Np 0.5000 0.5000 0.5000
5 O 0.2614 0.2614 0.2614
6 O 0.2614 0.2614 0.7386
7 O 0.2614 0.7386 0.2614
8 O 0.2614 0.7386 0.7386
9 O 0.7386 0.2614 0.2614
10 O 0.7386 0.2614 0.7386
11 O 0.7386 0.7386 0.2614
12 O 0.7386 0.7386 0.7386

=====

This record from the Alexandria database describes a geometry-optimized Ac4Ga3Pd5 structure. The functional is GGA-PBE.

As for the energy relative to the elements: -773 kJ/mol of formula units.

Lattice parameters (Å, degrees): 7.5773 7.5773 11.3439 124.72 124.72 36.11
Fractional positions:
1 Ac 0.0240 0.0240 0.2970
2 Ac 0.2597 0.2597 0.7435
3 Ac 0.7403 0.7403 0.2565
4 Ac 0.9760 0.9760 0.7030
5 Ga 0.0000 0.0000 0.0000
6 Ga 0.3064 0.3064 0.0725
7 Ga 0.6936 0.6936 0.9275
8 Pd 0.3053 0.3053 0.4917
9 Pd 0.4167 0.4167 0.3530
10 Pd 0.5000 0.5000 0.0000
11 Pd 0.5833 0.5833 0.6470
12 Pd 0.6947 0.6947 0.5083

=====

This record from the Alexandria database describes a geometry-optimized Tm12GaRh6 structure. The functional is GGA-PBE.

As for the energy relative to the elements: -1072 kJ/mol of formula units.

Lattice parameters (Å, degrees): 8.1401 8.1401 8.1401 102.07 102.07 102.07
Fractional positions:
1 Tm 0.0693 0.9284 0.3287
2 Tm 0.0716 0.6713 0.9307
3 Tm 0.1729 0.4160 0.5623
4 Tm 0.3287 0.0693 0.9284
5 Tm 0.4160 0.5623 0.1729
6 Tm 0.4377 0.8271 0.5840
7 Tm 0.5623 0.1729 0.4160
8 Tm 0.5840 0.4377 0.8271
9 Tm 0.6713 0.9307 0.0716
10 Tm 0.8271 0.5840 0.4377
11 Tm 0.9284 0.3287 0.0693
12 Tm 0.9307 0.0716 0.6713
13 Ga 0.0000 0.0000 0.0000
14 Rh 0.1414 0.6151 0.3094
15 Rh 0.3094 0.1414 0.6151
16 Rh 0.3849 0.6906 0.8586
17 Rh 0.6151 0.3094 0.1414
18 Rh 0.6906 0.8586 0.3849
19 Rh 0.8586 0.3849 0.6906

=====

This record from the Alexandria database describes a geometry-optimized BeTe2NCl structure. The functional is GGA-PBE.

The excess energy over the best structure of this formula in the dataset is 0.0 meV/atom.

Lattice parameters (Å, degrees): 5.5712 5.5712 3.1241 90.00 90.00 90.00
Fractional positions:
1 Be 0.0000 0.0000 0.0000
2 Te 0.0000 0.5000 0.0000
3 Te 0.5000 0.0000 0.0000
4 N 0.0000 0.0000 0.5000
5 Cl 0.5000 0.5000 0.5000

=====

This record from the Alexandria database describes a geometry-optimized La3PbI3 structure. The functional is GGA-PBE.

As for the uncorrected energy: -4.45 eV/atom.

Lattice parameters (Å, degrees): 11.3017 11.3017 11.3017 109.47 109.47 109.47
Fractional positions:
1 La 0.0069 0.0138 0.2569
2 La 0.0069 0.4931 0.7500
3 La 0.0138 0.2569 0.0069
4 La 0.2431 0.2569 0.7500
5 La 0.2431 0.4862 0.4931
6 La 0.2569 0.0069 0.0138
7 La 0.2569 0.7500 0.2431
8 La 0.4862 0.4931 0.2431
9 La 0.4931 0.2431 0.4862
10 La 0.4931 0.7500 0.0069
11 La 0.7500 0.0069 0.4931
12 La 0.7500 0.2431 0.2569
13 Pb 0.0000 0.2500 0.5000
14 Pb 0.2500 0.2500 0.2500
15 Pb 0.2500 0.5000 0.0000
16 Pb 0.5000 0.0000 0.2500
17 I 0.2500 0.7554 0.7446
18 I 0.2500 0.9946 0.5054
19 I 0.5054 0.2500 0.9946
20 I 0.5054 0.7554 0.5109
21 I 0.5109 0.5054 0.7554
22 I 0.7446 0.2500 0.7554
23 I 0.7446 0.9946 0.9891
24 I 0.7554 0.5109 0.5054
25 I 0.7554 0.7446 0.2500
26 I 0.9891 0.7446 0.9946
27 I 0.9946 0.5054 0.2500
28 I 0.9946 0.9891 0.7446

=====
└──
## Solution
13 Pb 0.0000 0.2500 0.5000
14 Pb 0.2500 0.2500 0.2500
15 Pb 0.2500 0.5000 0.0000
16 Pb 0.5000 0.0000 0.2500